【by Sachi Takaya, June 2022】
Approximately one year after the coronavirus disease 2019 pandemic hit Japan, it was reported that more than 36,000 technical intern trainees remained displaced in Japan and were unable to return to their home countries.[1] These technical intern trainees are recruited from other countries and are expected to work in Japan for up to five years and return to their home countries upon the termination of their contracts. In principle, the technical intern trainee program is intended to “promote international cooperation . . . through human resource development.”[2] However, in reality, it functions as a Temporary Migrant Program (TMP) that temporarily accepts migrant workers into the so-called unskilled labor market. In TMPs, “residence and employment on the basis of a temporary work permit alone do not create an entitlement” for a migrant worker “to stay permanently in the host country.”[3]
Temporary migrant workers are often subject to a cap on the length of their stay and are prohibited from bringing family members to the receiving countries. This is because these countries want to prevent temporary migrant workers from becoming their “members.” In reality, the labor contracts of “temporary” workers, such as the domestic workers in Singapore and Hong Kong, are repeatedly renewed, sometimes for decades. Nevertheless, their long-term stays do not lead to permanent residency. Furthermore, some countries do not allow migrant workers under TMPs to marry their nationals and prohibit (legally or de facto) pregnancy and childbirth. Through these restrictions, the receiving countries try to mitigate the “social costs” of workers settling down to form families and raise children. Moreover, they may be wary of cultural cleavages that are thought to be created by increased immigration. In other words, the TMPs are “designed to achieve . . . malleable labor without incurring . . . unwanted members.”[4] As, a political sociologist, Kristin Surak argues, the TMPs are a means for nation-states to mediate the interests of both capital, which seeks obedient labor, and their people, who are averse to “unwanted members.”
(1)
Entry from the Materials Project: Na6Al4Ga4Si3S9O48 after structural relaxation (PBE-GGA).

Values from the calculation:
* crystal system: triclinic

```
data_Na6Al4Ga4Si3S9O48
_chemical_formula_sum 'Na18 Al12 Ga12 Si9 S27 O144'
_symmetry_space_group_name_H-M 'P 1'
_symmetry_Int_Tables_number 1
_cell_length_a 8.5060
_cell_length_b 14.8410
_cell_length_c 21.9201
_cell_angle_alpha 90.58
_cell_angle_beta 90.11
_cell_angle_gamma 90.06
loop_
_symmetry_equiv_pos_as_xyz
'x,y,z'
loop_
_atom_site_label
_atom_site_type_symbol
_atom_site_fract_x
_atom_site_fract_y
_atom_site_fract_z
_atom_site_occupancy
Na1 Na 0.0000 0.0000 0.0000 1
Na2 Na 0.0003 0.3216 0.1688 1
Na3 Na 0.0028 0.9999 0.5032 1
Na4 Na 0.1354 0.8312 0.9133 1
Na5 Na 0.1369 0.4903 0.2546 1
Na6 Na 0.3583 0.9921 0.7460 1
Na7 Na 0.3595 0.3305 0.4176 1
Na8 Na 0.4898 0.8289 0.6648 1
Na9 Na 0.4930 0.4995 0.5016 1
Na10 Na 0.4972 0.1623 0.8314 1
Na11 Na 0.5010 0.1551 0.3340 1
Na12 Na 0.5015 0.4980 0.9990 1
Na13 Na 0.5064 0.8304 0.1709 1
Na14 Na 0.6350 0.3316 0.9127 1
Na15 Na 0.8565 0.8325 0.4169 1
Na16 Na 0.9865 0.3271 0.6694 1
Na17 Na 0.9926 0.6555 0.8307 1
Na18 Na 0.9953 0.6635 0.3355 1
Al1 Al 0.0005 0.6627 0.6875 1
Al2 Al 0.0039 0.3298 0.5184 1
Al3 Al 0.0124 0.9913 0.6486 1
Al4 Al 0.4890 0.4909 0.1516 1
Al5 Al 0.4889 0.8320 0.0173 1
Al6 Al 0.4926 0.1617 0.1892 1
Al7 Al 0.5015 0.4896 0.6516 1
Al8 Al 0.5016 0.8417 0.5215 1
Al9 Al 0.5086 0.8365 0.3141 1
Al10 Al 0.9849 0.3374 0.8109 1
Al11 Al 0.9885 0.3306 0.0165 1
Al12 Al 0.9891 0.9912 0.1535 1
Ga1 Ga 0.0035 0.6553 0.4833 1
Ga2 Ga 0.0087 0.3302 0.3163 1
Ga3 Ga 0.0112 0.9895 0.8504 1
Ga4 Ga 0.4854 0.4895 0.3544 1
Ga5 Ga 0.4867 0.8325 0.8129 1
Ga6 Ga 0.4904 0.1550 0.9819 1
Ga7 Ga 0.4983 0.1437 0.4846 1
Ga8 Ga 0.5028 0.1645 0.6828 1
Ga9 Ga 0.5148 0.4900 0.8489 1
Ga10 Ga 0.9824 0.9908 0.3524 1
Ga11 Ga 0.9893 0.6706 0.1872 1
Ga12 Ga 0.9898 0.6537 0.9814 1
Si1 Si 0.1364 0.4758 0.4188 1
Si2 Si 0.1364 0.8434 0.7500 1
Si3 Si 0.3470 0.0145 0.5868 1
Si4 Si 0.3545 0.9758 0.9183 1
Si5 Si 0.3560 0.3445 0.2494 1
Si6 Si 0.6397 0.9747 0.4174 1
Si7 Si 0.6418 0.3459 0.7488 1
Si8 Si 0.8478 0.8488 0.2503 1
Si9 Si 0.8560 0.4736 0.9181 1
S1 S 0.1354 0.1435 0.7517 1
S2 S 0.1384 0.1813 0.4183 1
S3 S 0.1448 0.5146 0.0856 1
S4 S 0.1456 0.8078 0.0829 1
S5 S 0.2013 0.1607 0.0857 1
S6 S 0.2101 0.4945 0.7500 1
S7 S 0.2180 0.8281 0.4171 1
S8 S 0.2766 0.3286 0.9181 1
S9 S 0.2837 0.9942 0.2497 1
S10 S 0.2919 0.6586 0.5860 1
S11 S 0.3481 0.3102 0.5825 1
S12 S 0.3564 0.6816 0.9195 1
S13 S 0.3565 0.6420 0.2495 1
S14 S 0.6338 0.6843 0.4181 1
S15 S 0.6429 0.3055 0.0847 1
S16 S 0.6426 0.6393 0.7485 1
S17 S 0.6441 0.0162 0.0857 1
S18 S 0.6962 0.6612 0.0842 1
S19 S 0.7143 0.3277 0.4187 1
S20 S 0.7185 0.9939 0.7506 1
S21 S 0.7793 0.4943 0.2494 1
S22 S 0.7787 0.8281 0.9195 1
S23 S 0.7970 0.1634 0.5834 1
S24 S 0.8491 0.5162 0.5856 1
S25 S 0.8502 0.1394 0.2487 1
S26 S 0.8507 0.8033 0.5842 1
S27 S 0.8580 0.1833 0.9183 1
O1 O 0.0582 0.5749 0.4241 1
O2 O 0.0597 0.7446 0.7412 1
Thus, temporary migrant workers are situated differently in the receiving countries from their “members,” that is, nationals and permanent/long-term migrants. As a result, temporary migrant workers are not given access to social welfare benefits. In Japan as well, welfare benefits for foreign nationals are limited to certain categories, such as permanent/long-term residents and spouses of the Japanese, and are not available to technical interns. The proportion of migrants excluded from welfare benefits is approximately 45% of the total population of foreign nationals.[5]
During the pandemic, this exclusion has impacted the lives of temporary migrant workers. As mentioned above, several technical intern trainees who were unable to return to their home countries after their labor contracts ended had no choice but to remain in Japan. After a while, many of them were reduced to poverty. They were housed by friends, in the dormitories of supervisory organizations, or in the shelters of religious institutions and were supported by civic groups to make ends meet. For example, according to a report issued by a non-profit organization that assisted migrants and refugees who faced poverty during the pandemic, one Vietnam man—who initially came to Japan as a technical intern but switched to another visa status—lost his job due to the pandemic. He had bought a plane ticket to return home, but he was unable to return due to airport closures. As his visa did not allow him to work, he became distressed and was supported by a non-profit organization.[6]
The Immigration Service Agency encouraged technical intern trainees who had finished their contracts or lost their jobs due to the pandemic to find other work; however, in reality, changing jobs was challenging. The language barrier made it difficult for many technical intern trainees to access information about other opportunities, and many supervisory organizations were not proactive in assisting them in their job search. A former technical intern trainee explained the challenges he faced in response to a local government survey: “It is difficult to change to another status of residence, and I have to wait at home for the supervisory organization to find me another job. It would be nice if I had savings when I lost my job, but I did not, so I had to ask others to help me make money. Some of my friends say they have no money and no food.”[7] Nevertheless, their difficulties were rarely highlighted. In January 2021—when the difficulties of the technical intern trainees in returning home were revealed—Prime Minister Yoshihide Suga was questioned about the government’s response to those who had lost their livelihoods due to the pandemic, and in response, he stated that “in the end, the government has the welfare system.”[8] Notably absent from this statement was the recognition that many migrants, including temporary migrant workers, cannot receive welfare benefits. It clearly indicates the extent to which these migrants are neglected.
Moreover, the pandemic has highlighted the fragility of the TMPs.
TMPs, which are widespread not only in Japan’s technical internship trainee program but also throughout Asia and the Middle East, are aimed at quickly filling the market demand for labor from the perspective of capital requirements. To this end, “migration infrastructure”—“the systematically interlinked technologies, institutions, and actors that facilitate and condition mobility”—that mediates labor migration has been evolving since the end of the last century.[9] In a sending country, workers who wish to work overseas are on standby, ready to relocate. Once the demand from a receiving country is communicated to the sending country, workers are selected based on certain criteria, such as age, gender, and aptitude, and then transferred to the receiving country. An intermediate agency acts between the two countries, and migrant workers must pay the agency an administrative fee, including travel to the destination country. The fee amount varies by country; in Vietnam, where most migrant workers in Japan originate, the fee is more than one million yen. Agencies are typically private but often well connected to local officials in sending countries with migrant-export policies. In addition, the receiving country needs an intermediary to ensure that the workers are arranged to fulfill the labor needs in the “right” manner. In the case of Japan’s technical intern trainee program, there is a built-in supervisory organization that handles contracts between the companies and trainees, provides guidance to the companies, and offers consultation to the trainees. Thus, the TMPs are managed by a variety of actors in both the sending and receiving countries. These actors function as an infrastructure that facilitates the mobility of temporary migrants.
Under the program, temporary migrant workers, including technical intern trainees in Japan, are permitted to stay in the receiving countries only as long as they have a labor contract. While their role is confined by work, evidently, a person does not exist solely in the labor market. As discussions on social reproduction argue, productive labor in the marketplace depends on the non-market realm (typically, family), that is, reproductive labor.[10] In this sense, the TMPs, which seek to keep social reproduction (especially the reproduction of the next generation) away from the receiving countries and solely in sending countries, are inherently contradictory institutions. TMPs depend on bodies to make products, but they forbid or severely limit human reproduction. This might imply that capital and (migrant-receiving) states find sending countries as appropriate places of social reproduction when the free or inexpensive spheres of social reproduction in the receiving countries have been exhausted. Simultaneously, the hyper-mobility of temporary migrant workers under TMPs made the geographical separation of production and reproduction possible; as they are hyper-mobile, their reproduction is simply delayed, rather than prohibited, until their return.
Nevertheless, the pandemic has challenged this assumption. Technical intern trainees could not return to their home countries after their contracts ended because the infrastructure that enabled their hyper-mobility collapsed suddenly. The closure of borders and cessation of air travel paradoxically made visible the existence of the technological infrastructure that had facilitated their mobility. In short, the pandemic has highlighted the fragility of conditions for the hyper-mobility of temporary migrants.
In this context, the immobility of hyper-mobile migrants in the pandemic was an opportunity to reveal this vulnerability. However, even though temporary migrant workers suddenly found themselves immobile, society’s perception of them as “temporary workers” has been consistent. There was no change toward viewing their existence in limbo as an embodiment of the contradictions of TMPs and incorporating them into society to resolve these contradictions. They were simply abandoned. In other words, Japan passed off the retention of technical intern trainees not as a contradiction inherent in TMPs but as an “exceptional” pandemic situation.
As the pandemic eases and the world prepares to return to “normal,” will TMPs also return to “normal” operation? Will they conquer their frailty and regain hyper-mobility, which enables receiving countries to keep social production out of their horizons? To do this, will the technological infrastructure incorporate more sophisticated sorting functions and underpin hyper-mobility more efficiently? Conversely, will temporary migrant workers who recognize their immobility and vulnerability attempt to seek a way to overcome them? The consequences of the pandemic on mobility remain to be seen.
Sachi Takaya, University of Tokyo, Japan
[1] “Technical Intern Trainees who cannot return, more than 1000 people are unemployed,” The Asahi Simbun, January 21, 2021.
[2] Act on Proper Technical Intern Training and Protection of Technical Intern Trainees, Article 1.
[3] Martin Ruhs, 2006, “The Potential of Temporary Migration Programmes in Future International Migration Policy,” International Labour Review, 145(1-2), 7–36, p. 9.
[4] Kristin Surak, 2013, “Guestworkers: A Taxonomy,” New Left Review, 84, 84–102.
[5] Immigration Service Agency of Japan, Statistics of 2021. Migrants who are not granted welfare benefits include not only technical intern trainees but also foreign students, skilled workers, and their families.
[6] Solidarity Networks with Migrants Japan, I’m here. Survive in the Covid-19 crisis together: The report of the emergency fund for migrants and refugees under the pandemic, October, 2020, p. 16.
[7] Toyonaka city and Association for Toyonaka Multicultural Symbiosis, The report of the research on the impacts of the lives of migrants in the pandemic, January, 2022, p. 96.
[8] “Japan PM to people impoverished by coronavirus crisis: In the end, turn to welfare,” The Mainichi, Jan. 28, 2021.
[9] Biao Xiang and Johan Lindquist, 2014, “Migration Infrastructure,” International Migration Review, 48(s1), S122–S148.
[10] Nancy Fraser, 2014, “Behind Marx’s Hidden Abode; For an Expanded Conception of Capitalism,” New Left Review, 86, 55–72.